== What to do ==
Reproduce all of the rows further below without additions.

== Material ==
┌──
Entry 1:
A plane-wave DFT calculation with PBE was carried out for a relaxed KZnBr2 crystal.

The structure in CIF format:
```
data_KZnBr2
_chemical_formula_sum 'K1 Zn1 Br2'
_symmetry_space_group_name_H-M 'P 1 2/m 1'
_symmetry_Int_Tables_number 10
_cell_length_a 4.099
_cell_length_b 4.014
_cell_length_c 7.827
_cell_angle_alpha 90.00
_cell_angle_beta 90.24
_cell_angle_gamma 90.00
loop_
_symmetry_equiv_pos_as_xyz
'x,y,z'
'-x,-y,-z'
'-x,y,-z'
'x,-y,z'
loop_
_atom_site_label
_atom_site_fract_x
_atom_site_fract_y
_atom_site_fract_z
_atom_site_occupancy
K1 0.000 0.000 0.000 1
Zn1 0.500 0.000 0.500 1
Br1 0.497 0.500 0.756 1
```

Final energy, eV per atom: -2.26
E above lowest polymorph, eV per atom: 0.132

---

Entry 2:
A plane-wave DFT calculation with PBE was carried out for a relaxed K3ZnBr5 crystal.

The structure in CIF format:
```
data_K3ZnBr5
_chemical_formula_sum 'K12 Zn4 Br20'
_symmetry_space_group_name_H-M 'I 4/m c m'
_symmetry_Int_Tables_number 140
_symmetry_space_group_name_Hall '-I 4 2c'
_cell_length_a 9.091
_cell_length_b 9.091
_cell_length_c 14.899
_cell_angle_alpha 90.00
_cell_angle_beta 90.00
_cell_angle_gamma 90.00
loop_
_atom_site_label
_atom_site_fract_x
_atom_site_fract_y
_atom_site_fract_z
_atom_site_occupancy
K1 0.000 0.000 0.250 1
K2 0.161 0.339 0.000 1
Zn1 0.000 0.500 0.250 1
Br1 0.000 0.000 0.000 1
Br2 0.148 0.352 0.351 1
```

Final energy, eV per atom: -2.89

---

Entry 3:
A plane-wave DFT calculation with PBE was carried out for a relaxed K2ZnBr4 crystal.

The structure in CIF format:
```
data_K2ZnBr4
_chemical_formula_sum 'K4 Zn2 Br8'
_symmetry_space_group_name_H-M 'P 1 21 1'
_symmetry_Int_Tables_number 4
_cell_length_a 7.507
_cell_length_b 7.600
_cell_length_c 9.178
_cell_angle_alpha 90.00
_cell_angle_beta 107.86
_cell_angle_gamma 90.00
loop_
_symmetry_equiv_pos_as_xyz
'x,y,z'
'-x,y+1/2,-z'
loop_
_atom_site_label
_atom_site_fract_x
_atom_site_fract_y
_atom_site_fract_z
_atom_site_occupancy
K1 0.218 0.000 0.053 1
K2 0.264 0.005 0.566 1
Zn1 0.230 0.465 0.802 1
Br1 0.010 0.732 0.264 1
Br2 0.035 0.729 0.749 1
Br3 0.407 0.436 0.071 1
Br4 0.424 0.439 0.633 1
```

Final energy, eV per atom: -2.86
E above lowest polymorph, eV per atom: 0.000

---

What did we get for energy relative to the elements, uncorrected? Answer: -80.1 -140.7 -135.7 kJ/mol of atoms, in the order shown.
What did we get for M_tot? Answer: 0.000 0.038 0.000 μB per formula unit, in the order shown.

* * * * *

This record from the Alexandria database describes a geometry-optimized Ca2Pb4O9 structure. The functional is GGA-PBE.

* magnetization: 0.00 μB per cell
* ρ: 7.4 g cm⁻³
* energy relative to the elements, uncorrected: -1.48 eV per atom

Cell: 5.8735 5.8735 15.7610 Å, 90.00 90.00 120.00°
With the nearest neighbours (Å) after each atom.
Space group P-3 (No. 147)
Symmetry-distinct sites (fractional):
Ca 0.0000 0.0000 0.1414  6 O 2.37-2.47
Ca 0.0000 0.0000 0.3577  6 O 2.33-2.42
Pb 0.3333 0.6667 0.0157  6 O 2.21-2.30
Pb 0.3333 0.6667 0.3047  3 O 2.11
Pb 0.3333 0.6667 0.5199  6 O 2.22-2.29
Pb 0.3333 0.6667 0.8000  6 O 2.43-2.61
O 0.0237 0.3771 0.9224  2 Pb 2.21-2.30, 1 Ca 2.37
O 0.0350 0.6434 0.4215  2 Pb 2.22-2.29, 1 Ca 2.42
O 0.0372 0.3038 0.2560  1 Pb 2.11, 1 Ca 2.33

* * * * *

Compound: La2GaPt4
Source: the Alexandria database
Functional: PBE-GGA
Structure: optimized geometry

## Properties
**V**: 23.89 A^3/atom
**E_form**: -16.20 kcal/mol of atoms
**Total magnetic moment**: 0.0 μB/cell

Cell lengths 4.717, 4.717, 8.221 Å; angles 73.33, 73.33, 90.00 degrees
Sites, in units of the cell vectors:
Pt  0.167  0.167  0.666
Pt  0.833  0.833  0.334
Pt  0.500  0.000  0.000
Ga  0.000  0.000  0.000
Pt  0.000  0.500  0.000
La  0.355  0.355  0.290
La  0.645  0.645  0.710

* * * * *

No. 1
## Pu6RuPt3 (PBE-GGA)

Data for a relaxed structure of Pu6RuPt3.

abc: 7.855 7.855 7.855
angles: 87.00 87.00 87.00
Each line ends with the local moment (μB).
Fractional positions:
1 Pt 0.848 0.455 0.936  -0.05
2 Pu 0.872 0.210 0.244  5.28
└──

== Response ==
Entry 1:
A plane-wave DFT calculation with PBE was carried out for a relaxed KZnBr2 crystal.

The structure in CIF format:
```
data_KZnBr2
_chemical_formula_sum 'K1 Zn1 Br2'
_symmetry_space_group_name_H-M 'P 1 2/m 1'
_symmetry_Int_Tables_number 10
_cell_length_a 4.099
_cell_length_b 4.014
_cell_length_c 7.827
_cell_angle_alpha 90.00
_cell_angle_beta 90.24
_cell_angle_gamma 90.00
loop_
_symmetry_equiv_pos_as_xyz
'x,y,z'
'-x,-y,-z'
'-x,y,-z'
'x,-y,z'
loop_
_atom_site_label
_atom_site_fract_x
_atom_site_fract_y
_atom_site_fract_z
_atom_site_occupancy
K1 0.000 0.000 0.000 1
Zn1 0.500 0.000 0.500 1
Br1 0.497 0.500 0.756 1
```

Final energy, eV per atom: -2.26
E above lowest polymorph, eV per atom: 0.132

---

Entry 2:
A plane-wave DFT calculation with PBE was carried out for a relaxed K3ZnBr5 crystal.

The structure in CIF format:
```
data_K3ZnBr5
_chemical_formula_sum 'K12 Zn4 Br20'
_symmetry_space_group_name_H-M 'I 4/m c m'
_symmetry_Int_Tables_number 140
_symmetry_space_group_name_Hall '-I 4 2c'
_cell_length_a 9.091
_cell_length_b 9.091
_cell_length_c 14.899
_cell_angle_alpha 90.00
_cell_angle_beta 90.00
_cell_angle_gamma 90.00
loop_
_atom_site_label
_atom_site_fract_x
_atom_site_fract_y
_atom_site_fract_z
_atom_site_occupancy
K1 0.000 0.000 0.250 1
K2 0.161 0.339 0.000 1
Zn1 0.000 0.500 0.250 1
Br1 0.000 0.000 0.000 1
Br2 0.148 0.352 0.351 1
```

Final energy, eV per atom: -2.89

---

Entry 3:
A plane-wave DFT calculation with PBE was carried out for a relaxed K2ZnBr4 crystal.

The structure in CIF format:
```
data_K2ZnBr4
_chemical_formula_sum 'K4 Zn2 Br8'
_symmetry_space_group_name_H-M 'P 1 21 1'
_symmetry_Int_Tables_number 4
_cell_length_a 7.507
_cell_length_b 7.600
_cell_length_c 9.178
_cell_angle_alpha 90.00
_cell_angle_beta 107.86
_cell_angle_gamma 90.00
loop_
_symmetry_equiv_pos_as_xyz
'x,y,z'
'-x,y+1/2,-z'
loop_
_atom_site_label
_atom_site_fract_x
_atom_site_fract_y
_atom_site_fract_z
_atom_site_occupancy
K1 0.218 0.000 0.053 1
K2 0.264 0.005 0.566 1
Zn1 0.230 0.465 0.802 1
Br1 0.010 0.732 0.264 1
Br2 0.035 0.729 0.749 1
Br3 0.407 0.436 0.071 1
Br4 0.424 0.439 0.633 1
```

Final energy, eV per atom: -2.86
E above lowest polymorph, eV per atom: 0.000

---

What did we get for energy relative to the elements, uncorrected? Answer: -80.1 -140.7 -135.7 kJ/mol of atoms, in the order shown.
What did we get for M_tot? Answer: 0.000 0.038 0.000 μB per formula unit, in the order shown.

* * * * *

This record from the Alexandria database describes a geometry-optimized Ca2Pb4O9 structure. The functional is GGA-PBE.

* magnetization: 0.00 μB per cell
* ρ: 7.4 g cm⁻³
* energy relative to the elements, uncorrected: -1.48 eV per atom

Cell: 5.8735 5.8735 15.7610 Å, 90.00 90.00 120.00°
With the nearest neighbours (Å) after each atom.
Space group P-3 (No. 147)
Symmetry-distinct sites (fractional):
Ca 0.0000 0.0000 0.1414  6 O 2.37-2.47
Ca 0.0000 0.0000 0.3577  6 O 2.33-2.42
Pb 0.3333 0.6667 0.0157  6 O 2.21-2.30
Pb 0.3333 0.6667 0.3047  3 O 2.11
Pb 0.3333 0.6667 0.5199  6 O 2.22-2.29
Pb 0.3333 0.6667 0.8000  6 O 2.43-2.61
O 0.0237 0.3771 0.9224  2 Pb 2.21-2.30, 1 Ca 2.37
O 0.0350 0.6434 0.4215  2 Pb 2.22-2.29, 1 Ca 2.42
O 0.0372 0.3038 0.2560  1 Pb 2.11, 1 Ca 2.33

* * * * *

Compound: La2GaPt4
Source: the Alexandria database
Functional: PBE-GGA
Structure: optimized geometry

## Properties
**V**: 23.89 A^3/atom
**E_form**: -16.20 kcal/mol of atoms
**Total magnetic moment**: 0.0 μB/cell

Cell lengths 4.717, 4.717, 8.221 Å; angles 73.33, 73.33, 90.00 degrees
Sites, in units of the cell vectors:
Pt  0.167  0.167  0.666
Pt  0.833  0.833  0.334
Pt  0.500  0.000  0.000
Ga  0.000  0.000  0.000
Pt  0.000  0.500  0.000
La  0.355  0.355  0.290
La  0.645  0.645  0.710

* * * * *

No. 1
## Pu6RuPt3 (PBE-GGA)

Data for a relaxed structure of Pu6RuPt3.

abc: 7.855 7.855 7.855
angles: 87.00 87.00 87.00
Each line ends with the local moment (μB).
Fractional positions:
1 Pt 0.848 0.455 0.936  -0.05
2 Pu 0.872 0.210 0.244  5.28